5.31.04 Hadrian’s Wall Walk: Brampton to Gilsland

Location: On the border of Northumberland and Cumbria
Formerly Called: Rose Hill
Population: Undetermined, but sparse
Featured In: Sir Walter Scott’s classic Guy Mannering

The hills are alive with the sound of bleating
Today: More walking. Surprise! Though, less than the day before. Since to officially Stay On The Right Path I’d have had to walk back to the cattle fence past the Sportsman’s Inn and then, eventually, walk past the Lanercost area again where I stayed, I just figured, heck with it, life’s too short, and besides, there was Naworth Castle to check out.
So I hiked up a long, winding hill and passed by two other Abbey residents (neighbors traveling together; we talked a minute but I had that New York pace going and eventually sped along) on the way to the Castle, which as I’d learned the night before, was closed to the public. And the sign outside told me that, too. Still, like a nosy parker (particularly one armed with a local contact and a Harper’s article) I went past that sign and up the driveway and had a peep into the gardens, which reminded me of the ones used in Franco Zefferelli’s remake of Jane Eyre. Immaculate. An SUV was parked across from the main entrance, but I heard and saw no one, which was probably for the best, and quickly scooted away, self-conscious.
I had to pass by the Priory gate on my way to rejoining the Hadrian’s Wall path, and saw a sign for an arts and crafts sale – which of course, how could I ever turn that down? So back to the Priory and into a section which is usually closed off, where they were holding the little fair. It was a long hall that was apparently used for some kind of entertaining, with an oversized fireplace (one set of vendors could stand up in it) and some faint remnants of a wall-painting of a Griffin. How did I know this? Mr. Lee from the night before was the one taking the 30p entrance fee up at the front, and he gave me another informal and impromptu and informative explanation of the room. “You should charge for this!” an older man running a raffle told him. I walked around the room and checked out the handmade wares, the food, the clothes and ended up not buying anything (anything I bought would have to be hauled around with me all day, so that was a consideration). In the end, I had to get moving so I said my farewells and wished I had a little more time to spend in that area. Heck, I already knew a local!
The walk to rejoin the path meant I had to go hill-climbing again, up a long tarmac road which afforded some amazing views of the surrounding countryside (as you can see from the photos, I went a little nuts with the picture-taking, but it was all really spectacular and it was another gorgeous sunny day, so how could I resist?).
Still, the photos can’t give any real sense of scope or true color. It was all just breathtaking (and some of that came from the long hill-climb). So. On and on through fields and hills, past cows having breakfast and then … Hare Hill! Official first Wall sighting! Proof!

Calculated crystals that have nothing to do with the page >
┌──
VPb4F10: computed PXRD pattern (λ = 1.5418 Å (Cu Kα)), based on a crystal structure in Alexandria, relaxed with GGA+U.
Peak positions follow from Bragg's law for the DFT cell and can differ from measured ones.

The 8 most intense peaks (5 to 70 degrees two-theta), by angle:
two_theta	I/Imax
26.3	100
26.6	28
30.5	38
43.5	40
43.9	29
51.6	16
51.7	28
69.7	14

Cell and atoms:
Cell lengths 16.9184, 16.9184, 16.9184 Å; angles 14.12, 14.12, 14.12 degrees
Fractional positions:
V: 0.0000 0.0000 0.0000
Pb: 0.2017 0.2017 0.2017
Pb: 0.3940 0.3940 0.3940
Pb: 0.6060 0.6060 0.6060
Pb: 0.7983 0.7983 0.7983
F: 0.0420 0.0420 0.0420
F: 0.1499 0.1499 0.1499
F: 0.2550 0.2550 0.2550
F: 0.3443 0.3443 0.3443
F: 0.4472 0.4472 0.4472
F: 0.5528 0.5528 0.5528
F: 0.6557 0.6557 0.6557
F: 0.7450 0.7450 0.7450
F: 0.8501 0.8501 0.8501
F: 0.9580 0.9580 0.9580

---

VZn2PbF8: computed PXRD pattern (λ = 1.5418 Å (Cu Kα)), based on a crystal structure in Alexandria, relaxed with GGA+U.
Peak positions follow from Bragg's law for the DFT cell and can differ from measured ones.

The 8 most intense peaks (5 to 70 degrees two-theta), by angle:
two_theta	I/Imax
17.1	23
17.4	40
24.2	100
30.0	18
30.7	76
34.5	19
46.8	69
59.5	22

Cell and atoms:
Cell lengths 6.2776, 6.2776, 6.2776 Å; angles 108.37, 108.37, 111.70 degrees
Fractional positions:
V: 0.0000 0.0000 0.0000
Zn: 0.2500 0.7500 0.5000
Zn: 0.5000 0.5000 0.0000
Pb: 0.7500 0.2500 0.5000
F: 0.0669 0.3665 0.2996
F: 0.0669 0.7672 0.7004
F: 0.1234 0.2971 0.8263
F: 0.2328 0.9331 0.2996
F: 0.4708 0.2971 0.1737
F: 0.6335 0.9331 0.7004
F: 0.7029 0.5292 0.8263
F: 0.7029 0.8766 0.1737

---

> What is the formula in the first record?

VPb4F10

=====

Structure and simulated powder XRD pattern of Li13Fe2O12 (the GGA+U geometry in Alexandria; Cu Kα (λ = 1.5418 Å)).
Peak positions follow from Bragg's law for the DFT cell and can differ from measured ones.

Structural model:
```
data_Li13Fe2O12
_chemical_formula_sum 'Li13 Fe2 O12'
_cell_length_a 5.571
_cell_length_b 5.604
_cell_length_c 8.021
_cell_angle_alpha 90.29
_cell_angle_beta 90.29
_cell_angle_gamma 90.01
_symmetry_space_group_name_H-M 'P 1'
_symmetry_Int_Tables_number 1
_symmetry_space_group_name_Hall 'P 1'
loop_
_atom_site_label
_atom_site_fract_x
_atom_site_fract_y
_atom_site_fract_z
_atom_site_occupancy
Li1 0.000 0.000 0.000 1
Li2 0.026 0.328 0.581 1
Li3 0.113 0.415 0.894 1
Li4 0.156 0.110 0.299 1
Li5 0.225 0.759 0.551 1
Li6 0.334 0.774 0.841 1
Li7 0.459 0.183 0.808 1
Li8 0.515 0.916 0.113 1
Li9 0.549 0.460 0.463 1
Li10 0.624 0.989 0.419 1
Li11 0.694 0.536 0.776 1
Li12 0.727 0.383 0.117 1
Li13 0.945 0.692 0.308 1
Fe1 0.324 0.493 0.183 1
Fe2 0.841 0.946 0.692 1
O1 0.016 0.654 0.737 1
O2 0.054 0.314 0.114 1
O3 0.118 0.107 0.779 1
O4 0.183 0.786 0.134 1
O5 0.199 0.487 0.402 1
O6 0.454 0.470 0.958 1
O7 0.493 0.205 0.247 1
O8 0.564 0.769 0.618 1
O9 0.608 0.656 0.257 1
O10 0.683 0.950 0.901 1
O11 0.687 0.241 0.635 1
O12 0.970 0.959 0.472 1
```
└──
Back to the page >

Davening at Pike Hill?

Pike Hill milecastle

Thing that is not allowed: Wall-sitting
As it turns out, this is not all original wall; some of it has been reconstructed, though not in recent times, as I understand it. Still, it gives a better sense of the scope of the thing — walking by it now it hardly seems that it could keep out sheep, much less maurading barbarians. You’re not supposed to walk on it, of course (though people do) but I felt it necessary to touch it. Imagine, just how old. It needs to be touched. Nearby, more was being excavated. This section was nestled on the side of a hill in a closely-packed area with houses and fences on all sides, as if it had been planted in the midst of a suburban neighborhood, like 2001‘s monolith. I am a little overly-influenced by movies, I think.
Next up: the fort called Birdoswald. Now that I’d seen Wall, it was coming fast and furious. This was my first fort – there are approximately 16 the Romans have built; only a portion of those are unearthed in any fashion – and it was probably the best-preserved, since apparently after the Romans left, the main house was used for living and storage and was highly prized by the marauding hordes of rievers who launched raids on the border.
General Atmosphere: Touristy
Wall Seen: Yes!
Sunbathers: 2
Lodgings: Bush Nook
Rating: 7
Food: 9 (for use of heather honey in a nut casserole)
Distance from Trail: Bleah. Too far, up hill, shoulder-free tarmac. I miss Martin!
Truffles Consumed: 2
What’s a Birdoswald?
The Internet is not helpful.
Since this was half-term for the kiddies, I wasn’t surprised to find children roaming the areas (roaming the Romans?), but what I couldn’t help but find amusing was that they were often dressed up like Romans, in full military gear, waving swords around, talking about keeping the “barbarians” out. Now, that is a well-adjusted conquered people, methinks. Agreed, they’ve had just about 2,000 years to get used to the concept, and yeah, the Romans did a pretty good job of assimilating the masses (“You will be assimilated. Resistance is futile.”) – but it’s a little hard to imagine the Native Americans eventually re-taking the area we call the USA and then unexcavating some of the white man’s ruins and running around in suits and ties, conquering “the capitalists.” Even 2,000 years hence. But I digress.
- Birdoswald fortitude
- Sleepy sheepy at Birdoswald
- Another angle
- Main Birdoswald fort
- Child soldier at Birdoswald
Post-fort, I had lunch next to “Turret 49A” (there are a lot of turrets. You get inured) and continued the walk. For once, someone was walking in my direction and I kept either passing him, or getting passed by him, but he wasn’t terribly friendly so we didn’t talk. I moved ahead of him, held to the trail and cut through a beautiful wooded glade at one point, passing through a sheep field (some of the gates warn you to be extra careful because it’s “lambing” season) and then cut back up to the road – and there he was again, somehow ahead of me. Some people, it seems, walk the “Roman road,” which seems to be more directly parallel to the real-life tarmac road. I lost him after Birdoswald. (Some photos you’re seeing here are Not Wall. There’s a lot of Not Wall, and Not Wall Which Might Have Some Real Wall In It around.)
- Willowford info
- Willowford up
- Willowford down
- More Willowford ruins
The only downside to the day was getting to the B&B – Bush Nook was quite adorable and I had a nice, narrow room with a real stone wall (!) all to myself – but the walk there was at least a mile from the trail itself, all uphill, all on a no-shoulder, no-path wide tarmac road. It was very unnerving to wonder if a car was going to come barreling over the hill and whack me. I also got more tired towards the end of this day, even though it was a shorter walk, but that was probably because of the day before being piled on top of it. The stay at BN was very pleasant: To feed my vegetarian tastes, they made a wonderful nut-and-veg-and-rice casserole which was so good I tried to pry a recipe out, but could only learn it had heather honey in it. I bought some heather honey later on (not even sure if that’s totally kosher to bring into the country or not, but whatever). Afterwards I sat in the “conservatory” (a glassed-in porch) and was eventually joined by other guests, who had eaten elsewhere. A husband and wife and her sister, walking in the opposite direction. We swapped bandages (mine) and drank cider (me) and vodka (wife) and other drinks and talked. She was a cafeteria cook on holiday and he – I can’t quite remember, but I think construction. Not sure about the sister. His name was Nigel, hers was Sue. Very nice people; the talk turned (as talk always seems to eventually) to politics and immigration and all kinds of very interesting things. We never saw the woman owner again, but the proprietor was very good about bringing us drinks. It was like a full-service pub.
Unfortunately, all of this good weather and good hiking couldn’t last, so … on to Haltwhistle….
Distance: 14.63 km
Steps: 24,395
Time Walked: 3:47:09
Speed: 3.86 km/hr
Rate: 107 steps/minute